Excerpt =
-- begin --
Entry 1:
A structure of composition C12H36BBeF4O6S6 at a distorted geometry. Source: OMol25; level of theory: ωB97M-V/def2-TZVPD.

```
66
Properties=species:S:1:pos:R:3:mulliken_charge:R:1
Be -16.792 26.645 -16.646 1.786
B -17.515 28.902 -14.757 0.307
F -17.730 30.098 -15.333 -0.340
F -18.297 27.934 -15.322 -0.089
F -16.171 28.601 -14.991 -0.373
F -17.773 28.870 -13.385 -0.425
C -16.975 24.795 -12.234 -0.976
S -15.750 24.543 -13.487 0.211
O -16.143 25.726 -14.420 -0.331
C -14.288 25.121 -12.528 -1.111
H -16.742 24.395 -11.247 0.497
H -17.803 24.262 -12.703 0.266
H -17.307 25.831 -12.160 0.249
H -14.602 26.075 -12.104 0.358
H -13.346 25.122 -13.076 0.294
H -13.912 24.538 -11.688 0.440
C -18.852 26.369 -21.294 -1.162
S -18.045 25.937 -19.666 0.817
O -18.305 27.024 -18.630 -0.574
C -19.218 24.488 -19.403 -1.191
H -18.535 27.410 -21.343 0.300
H -19.941 26.410 -21.326 0.369
H -18.657 25.901 -22.259 0.406
H -19.047 24.023 -18.432 0.180
H -18.970 23.655 -20.062 0.462
H -20.249 24.707 -19.680 0.420
C -21.296 24.970 -16.367 -0.933
S -19.683 24.764 -15.448 0.346
O -18.795 25.603 -16.319 -0.328
C -20.079 25.841 -13.966 -0.848
H -21.321 24.938 -17.456 0.239
H -21.723 25.958 -16.195 0.319
H -21.790 24.106 -15.925 0.404
H -19.241 26.107 -13.322 0.079
H -20.738 25.363 -13.242 0.456
H -20.564 26.746 -14.333 0.352
C -14.830 22.334 -16.424 -0.338
S -16.046 22.863 -17.778 0.377
O -16.553 24.305 -17.525 -0.482
C -14.940 22.958 -19.302 -0.901
H -15.058 22.908 -15.527 -0.220
H -13.755 22.469 -16.542 0.208
H -14.932 21.272 -16.200 0.455
H -14.146 23.702 -19.369 0.198
H -15.702 23.209 -20.041 0.286
H -14.729 21.926 -19.582 0.469
C -15.041 28.478 -20.476 -0.884
S -16.210 29.416 -19.312 0.398
O -16.110 28.495 -18.061 -0.617
C -15.014 30.793 -18.941 -1.020
H -15.304 28.591 -21.528 0.471
H -15.089 27.401 -20.318 0.153
H -14.009 28.827 -20.470 0.371
H -15.093 31.566 -19.705 0.392
H -13.948 30.604 -18.815 0.277
H -15.215 31.261 -17.977 0.374
C -12.280 27.394 -18.015 -0.728
S -13.107 26.336 -16.773 0.450
O -14.477 26.091 -17.421 -0.267
C -12.199 24.773 -17.131 -0.881
H -12.796 28.314 -18.288 -0.042
H -12.351 26.726 -18.874 0.272
H -11.236 27.583 -17.766 0.446
H -12.509 24.244 -18.033 0.127
H -12.330 24.037 -16.338 0.275
H -11.122 24.836 -17.287 0.505
```

Orbital gap (eV): 9.052
Total charge: +1
Energy relative to the best compared isomer or geometry (same formula, charge and spin) (eV): 2.8643

***

Entry 2:
A structure of composition C12H18Cl2IN2OPt. Source: OMol25; level of theory: ωB97M-V/def2-TZVPD.

```
37
Properties=species:S:1:pos:R:3:mulliken_charge:R:1
Pt -0.034 0.230 -0.406 0.341
C -1.943 1.797 -1.924 -0.920
N -1.932 0.940 -0.707 -0.123
C -2.449 1.743 0.429 -0.957
C -2.858 -0.216 -0.932 -0.617
C -2.107 -1.297 -1.647 0.810
C -2.730 -2.257 -2.426 -0.827
C -1.986 -3.300 -2.962 -0.581
C -0.630 -3.375 -2.690 -0.965
C -0.005 -2.402 -1.918 -0.197
C -0.726 -1.331 -1.399 0.058
H -2.945 2.207 -2.068 0.408
H -1.663 1.190 -2.783 0.346
H -1.230 2.609 -1.799 0.306
H -3.487 2.019 0.231 0.397
H -1.853 2.647 0.534 0.360
H -2.387 1.154 1.340 0.306
H -3.749 0.140 -1.456 0.440
H -3.166 -0.568 0.054 0.360
H -3.796 -2.198 -2.610 0.442
H -2.463 -4.051 -3.576 0.388
H -0.048 -4.200 -3.080 0.427
H 1.050 -2.528 -1.710 0.499
Cl 0.967 2.304 0.859 -0.089
C 1.045 1.837 2.609 -0.381
Cl 0.218 0.332 2.918 -0.087
H 0.575 2.647 3.154 0.359
H 2.097 1.739 2.844 0.340
N 3.530 -1.955 -0.478 -0.302
C 2.720 -0.985 -0.893 0.552
O 1.872 -0.541 -0.105 -0.702
C 2.967 -0.512 -2.308 -1.136
I 1.892 1.174 -2.996 0.184
H 3.416 -2.319 0.456 0.274
H 4.288 -2.293 -1.046 0.224
H 2.766 -1.329 -2.998 0.511
H 4.023 -0.255 -2.382 0.553
```

Orbital gap (eV): 8.735
Total charge: +1
Energy relative to the best compared isomer or geometry (same formula, charge and spin) (eV): 0.0000

***

Entry 3:
The molecule C3H5NO at a distorted geometry. Source: OMol25; level of theory: ωB97M-V/def2-TZVPD.

```
10
Properties=species:S:1:pos:R:3:mulliken_charge:R:1
C 0.456 -1.100 -0.209 -0.623
-- stop --

Exercise =
Could you filter the calculation results above: keep the lines with the word "Be"?

Outcome =
Be -16.792 26.645 -16.646 1.786